The 6 Names for Communion and How They Shape Our Worship
Communion is a ritual that is so theologically rich, the Bible and Christian tradition have called it by many
different names. Each name gives us a different lens in which to view the Table and by looking at them
we can recover a richer and fuller expression of worship at the Table.
In the Greco-Roman world, religious societies often hosted dinners in the presence of and in honor to
other gods. Those tables could be called the table of the lord ________ (fill in the blank with Greek or
Roman God) and that signified which god was hosting that meal.
So to call communion the Lord’s Table is a way of communicating that Jesus is the host of the table, the
one whose presence we meet at the table, and the one who is being honored at the table. We must
remember first and foremost the Table is about Jesus Christ. It’s established by him, it’s for him, about
him, to honor him, to remember him, and to commune with him.
Jesus instituted the Lord’s Table. It is to be a celebration that is found in the church until he comes,
simply because he has commanded it to be so. He said “Do this for the remembrance of me” Our
worship response to the Lord’s Table is simple: Submission. To submit to Jesus Christ as Lord over all
and of your life. LUKE 22:18-19
In 1 Cor 11, Paul calls the Table, “The Lord’s Supper” and provides the “Words of Institution,” which
recount the instructions of Jesus at the Last Supper.
The emphasis of the Lord’s Supper is on remembering the Last Supper of Jesus Christ and his ensuing
betrayal, his arrest, suffering, crucifixion, and death.
At the Last Supper, recall that Jesus was celebrating the Passover meal with his disciples. This was a meal
that God commanded the Israelites to do in remembrance of The Exodus, when God delivered the
Israelites from bondage in Egypt(Exodus12). The Exodus was the central saving event of the Israelite
In the same way, the cross and death of Christ is the new Exodus for the Christian community. It is to be
remembered through the Lord’s Supper through all generations until he comes. This is why Jesus said,
“Do this in remembrance of me.” This is why you may hear it called a “memorial meal.” The Lord’s
Supper transmits the memory of the Gospel by constantly retelling the story and finding ourselves in it.
Our worship response to the Lord’s Supper is to remember. In the Lord’s Supper we remember the cross,
the broken body and shed blood of Jesus.
3) The Breaking of the Bread - Luke 24:30,31,35; Acts 2:42
The breaking of the bread is found in the Scriptures in a few places. Breaking of bread can simply mean
the sharing of a meal. But the “Breaking of the Bread” can call to mind another theme as well.
Luke tells an instance of the breaking of the bread with the two disciples on the Road to Emmaus (Luke
24:13-35) after Jesus’ resurrection. The disciples did not recognize Jesus at first, but finally recognized
who he was when he broke the bread (Luke 24:35).
This is a story of communion but first and foremost it’s a story of the resurrection. The Good News is that
Jesus died for our sins but also that he didn’t stay there! We can still have a real relationship with Jesus
because he is alive and we often recognize his presence with us when we gather around his Table to
break bread. Breaking bread is having a meal with the living Jesus in his presence. It’s a reminder that
he is still alive and we can commune with him anytime we want.Our worship response to the breaking
of the bread is to celebrate! We celebrate that Jesus is alive and that we get to break bread in his
We find the Biblical reference to communion in 1 Cor 10:16 “Is not the cup of thanksgiving for which we
1.
Here is 2 unconnected molecules or ions with the total composition C2H3I2NO2P at a distorted geometry from OMol25. Energies are from wB97M-V/def2-TZVPD.

```
! wB97M-V def2-TZVPD RIJCOSX def2/J DEFGRID3
* xyz -1 1
C -0.185 1.471 2.206
C -1.496 0.216 -1.078
N -0.388 0.039 -1.493
O -0.044 1.102 3.299
O -0.215 1.777 1.114
P 1.151 -0.408 -0.725
I -2.201 -1.146 0.868
I 3.653 -1.266 -0.137
H -2.488 0.457 -1.466
H 1.726 -0.621 -1.951
H 0.486 -1.621 -0.638
*
```

## Properties
energy above the lowest of the compared OMol25 structures with the same formula, charge and spin	3.67	kcal/mol
orbital gap	7.1	eV


2.
Here is a molecular structure, C12H19O5PSn at a distorted geometry from OMol25. Energies are from wB97M-V/def2-TZVPD.

```
! wB97M-V def2-TZVPD RIJCOSX def2/J DEFGRID3
* xyz 2 1
C -3.737 -1.940 0.511
C -4.053 -0.499 -0.269
C -2.661 -0.100 -1.063
O -2.493 1.374 -1.247
O -1.214 1.559 -1.085
P -0.871 2.232 0.515
O -0.848 3.828 0.287
O -2.111 1.871 1.697
O 0.749 1.827 1.070
C 0.714 0.832 2.153
C 2.205 0.153 2.475
C 2.504 -1.177 1.506
C 2.540 -0.599 -0.057
C 1.306 -1.027 -1.048
C 1.328 -0.405 -2.579
C 2.594 0.598 -2.990
C 3.826 0.995 -1.974
C 3.801 0.379 -0.450
H -3.573 -1.673 1.657
H -2.725 -2.381 0.062
H -4.657 -2.650 0.339
H -4.349 0.347 0.502
H -4.962 -0.653 -1.005
H -1.709 -0.459 -0.439
H -2.615 -0.694 -2.087
H -2.461 0.922 1.585
H 0.393 1.423 3.136
H -0.083 -0.034 1.986
H 3.010 0.987 2.194
H 2.327 -0.087 3.619
H 3.553 -1.642 1.836
H 1.649 -1.985 1.660
H 0.447 -1.730 -0.647
H 0.443 -0.657 -3.317
H 2.624 1.090 -4.072
H 4.718 1.726 -2.233
H 4.604 0.608 0.374
Sn -0.213 -2.361 -2.602
*
```

## Properties
orbital gap	4.5	eV


3.
Here is a molecular structure, C13H35O17S3V2 at a distorted geometry from OMol25. Energies are from wB97M-V/def2-TZVPD.

```
! wB97M-V def2-TZVPD RIJCOSX def2/J DEFGRID3
* xyz 1 1
O -2.019 4.157 0.241
V -2.750 3.675 -1.149
O -4.077 4.514 -1.351
O -0.501 2.029 -4.836
V 0.020 2.469 -3.362
O 1.410 3.079 -3.541
C -1.210 -0.756 -0.793
C -0.718 0.452 -1.610
O 0.360 0.490 -2.183
O -1.357 1.510 -1.694
H -0.751 -0.906 0.184
H -1.148 -1.706 -1.324
H -2.281 -0.608 -0.656
C 1.426 -2.378 -3.496
O 1.995 -1.803 -2.402
H 1.903 -1.855 -4.325
H 1.733 -3.422 -3.563
H 0.338 -2.319 -3.541
H 1.515 -0.998 -2.192
C -4.871 2.425 1.037
O -3.883 2.035 -0.052
H -4.636 3.349 1.567
H -5.876 2.388 0.618
H -4.966 1.620 1.766
H -4.209 1.219 -0.440
O 2.899 1.565 4.540
S 1.672 1.119 5.160
O 1.275 1.779 6.391
O 0.334 1.288 4.166
C 0.515 1.007 2.742
C -0.486 1.833 1.976
C 1.612 -0.696 5.443
H 0.295 -0.056 2.639
H 1.514 1.240 2.374
H -1.522 1.638 2.252
H -0.411 1.545 0.927
H -0.354 2.902 2.141
H 2.591 -1.080 5.731
H 1.328 -1.157 4.497
H 0.896 -0.864 6.247
O -1.062 -4.696 1.055
S -1.382 -5.942 0.320
O -2.056 -7.138 0.876
O -2.211 -5.568 -1.053
C -2.173 -4.248 -1.624
C -2.738 -4.204 -3.060
C 0.119 -6.501 -0.473
H -1.104 -4.084 -1.760
H -2.673 -3.526 -0.978
H -3.768 -4.538 -3.186
H -2.168 -4.828 -3.748
H -2.732 -3.185 -3.445
H 0.894 -6.715 0.263
Back to the article =
give thanks a participation in the blood of Christ? And is not the bread that we break a participation in
the body of Christ?” The word “Participation” is Greek word Koinonia, which can be translated
“fellowship.” It’s about a group of people participating in something together.In Communion, we
become participates in the Blood of Christ and the Body of Christ. Participation in the communion
makes you a participant in Christ’s saving death.
# Inserted here: molecular data
DFT (ωB97M-V/def2-TZVPD) results for 3 unconnected molecules or ions with the total composition C32H54BClN5O5P at a distorted geometry.

Summary:
**<S²>**: 2.008
**Spin multiplicity**: 3
**Calculated total energy**: -74234.20837 eV
**Gap between HOMO and LUMO (spin up / spin down)**: 0.2990 / 0.2996 hartree
**HOMO energy (spin up / spin down)**: -8.55 / -8.57 eV

Element x y z (Å)
C 3.738688 4.349777 0.076313
C 2.390478 3.997291 -0.552003
N 1.749722 2.988804 -0.002949
C 0.568940 2.743848 -0.634865
C -0.240656 1.675233 -0.141880
C 0.208433 0.877061 1.078056
C 1.036950 -0.364540 0.727105
O 1.927341 -0.706438 1.483198
C -1.419988 1.353039 -0.717339
C -1.919880 2.093095 -1.855771
B -3.348044 1.659009 -2.427207
O -3.448157 0.661326 -3.356496
N -4.563205 2.376867 -1.959265
C -4.365683 2.917023 -0.599283
C -4.802718 3.563010 -2.816623
C -1.162182 3.104911 -2.358080
C -1.593623 3.925105 -3.565059
C 0.091685 3.448911 -1.749139
N 0.784835 4.490544 -2.276260
C 1.920322 4.758391 -1.660956
P 2.881989 6.217715 -2.325598
O 4.258059 5.573703 -2.991188
Cl 1.703414 6.927958 -3.905584
H 4.453919 3.534169 -0.069298
H 4.151512 5.293289 -0.299832
H 3.551495 4.503443 1.148947
H 0.819757 1.477662 1.759770
H -0.672960 0.527660 1.639040
H 0.857565 -1.013117 -0.157644
H -2.027515 0.540203 -0.317026
H -4.263517 0.159894 -3.227782
H -5.355303 3.195879 -0.201729
H -3.721667 3.811781 -0.561438
H -3.948142 2.178295 0.096420
H -4.093550 4.381139 -2.609973
H -4.710301 3.294478 -3.878284
H -5.808046 3.948367 -2.593318
H -0.736303 3.941408 -4.257290
H -2.429966 3.478079 -4.106641
H -1.759352 4.977539 -3.299495
H 4.417607 6.012311 -3.839529
C -3.611212 -0.328020 6.744671
C -3.222318 -1.522765 5.827898
C -2.808745 -2.748192 6.661345
C -1.386496 -2.706054 7.210964
C -0.397611 -2.379273 6.096906
C -0.753563 -1.080714 5.370269
N -2.163903 -1.084548 4.869417
O -2.217565 -1.853035 3.817173
C -0.506901 0.099816 6.331801
C 0.241441 -0.850405 4.232562
C -4.533164 -1.895957 5.126974
H -2.928548 0.514339 6.672221
H -4.580064 0.088326 6.465190
H -3.669796 -0.620105 7.794580
H -2.896930 -3.648389 6.043600
H -3.510471 -2.884352 7.487205
H -1.312193 -1.980426 8.026135
H -1.136358 -3.675695 7.647899
H 0.610640 -2.308123 6.511332
H -0.374991 -3.211717 5.385937
H -0.792941 1.047526 5.871262
H 0.552412 0.164452 6.583372
H -1.032207 0.007754 7.280992
H 0.280401 -1.686165 3.535964
H 1.250497 -0.724991 4.624541
H -0.007430 0.050090 3.673588
H -4.865564 -1.100483 4.457446
H -5.314458 -2.058095 5.870830
H -4.448485 -2.815201 4.547795
C 4.413256 -1.412976 -4.291075
C 3.536189 -2.046340 -3.173497
C 4.020931 -3.464208 -2.825857
C 3.575646 -4.555080 -3.793906
C 2.070085 -4.477133 -4.022420
C 1.628066 -3.092364 -4.500943
N 2.101350 -2.004802 -3.590024
O 1.363239 -2.027512 -2.517706
C 2.149731 -2.883261 -5.937166
C 0.105299 -3.072400 -4.649926
C 3.816825 -1.176895 -1.941511
H 3.878856 -1.252521 -5.223658
H 4.760408 -0.418449 -4.007593
H 5.294382 -2.018056 -4.511821
H 3.651759 -3.735511 -1.830963
**Communion can be considered a covenant meal. A modern day example of a covenant is the
-- Unrelated to this entry: calculated molecules --
#A
Molecular formula: C3H6O2
Method: DFT, ωB97M-V with the def2-TZVPD basis set

Each line ends with the natural charge from an NBO analysis.
CARTESIAN COORDINATES (ANGSTROEM)
1 O -1.4331 0.9428 -1.0712  -0.49
2 C -1.1146 0.8594 0.0874  0.41
3 C -0.5317 -0.3688 0.7272  -0.06
4 C 0.9042 -0.6795 0.7187  -0.09
5 O -0.0125 -1.3739 -0.1083  -0.46
6 H -1.2717 1.7052 0.7892  0.11
7 H -1.1175 -0.7190 1.5813  0.20
8 H 1.3110 -1.2514 1.5530  0.19
9 H 1.6102 -0.0322 0.1994  0.19
10 H 0.4849 0.3357 -2.1620  0.03
11 H 1.1707 0.5816 -2.3147  -0.03

Properties
SMILES string: O=C[C@@H]1CO1.[H][H]
HOMO-LUMO gap: 10.9 eV


#B
Molecular formula: C3H6O2
Method: DFT, ωB97M-V with the def2-TZVPD basis set

Each line ends with the natural charge from an NBO analysis.
CARTESIAN COORDINATES (ANGSTROEM)
1 O 2.4052 0.6848 0.4952  -0.52
2 C 1.3738 0.5479 -0.1201  0.44
3 C 0.4891 -0.6711 -0.0444  -0.54
4 C -0.9663 -0.3090 0.2648  -0.06
5 O -1.4800 0.5880 -0.7073  -0.72
6 H 1.0082 1.3450 -0.8007  0.11
7 H 0.5156 -1.1709 -1.0221  0.23
8 H 0.8964 -1.3546 0.7074  0.23
9 H -1.5760 -1.2196 0.2456  0.18
10 H -1.0433 0.1148 1.2745  0.17
11 H -1.6226 1.4445 -0.2928  0.47

Properties
SMILES string: O=CCCO
HOMO-LUMO gap: 10.4 eV


#C
Molecular formula: C3H6O2
Method: DFT, ωB97M-V with the def2-TZVPD basis set

Each line ends with the natural charge from an NBO analysis.
CARTESIAN COORDINATES (ANGSTROEM)
1 O -0.0967 1.6314 1.9942  -0.58
2 C -0.6777 0.7975 1.3621  0.64
3 O -0.8667 0.8676 0.0314  -0.68
4 H -1.1220 -0.1212 1.7657  0.12
5 H -0.4823 1.7249 -0.2248  0.49
6 C 0.2872 -1.9982 -1.7684  -0.39
7 C 1.3248 -1.2684 -1.3990  -0.38
8 H -0.7178 -1.8079 -1.4304  0.20
9 H 0.5022 -2.8842 -2.3529  0.19
10 H 1.2671 -0.3492 -0.8263  0.19
11 H 2.3330 -1.4770 -1.7331  0.19

Properties
SMILES string: O=CO.C=C
HOMO-LUMO gap: 11.1 eV


#D
Molecular formula: C3H6O2
Method: DFT, ωB97M-V with the def2-TZVPD basis set

Each line ends with the natural charge from an NBO analysis.
CARTESIAN COORDINATES (ANGSTROEM)
1 O -0.2120 -1.8208 -0.1919  -0.70
2 C 0.6061 -0.7426 0.1144  0.08
3 C 0.1556 0.4135 0.9714  -0.49
4 C 0.2405 0.5673 -0.5215  0.04
5 O -0.9841 0.4846 -1.2093  -0.72
6 H -0.9292 -1.4516 -0.7369  0.49
7 H 1.6198 -1.0356 0.3515  0.19
8 H -0.8136 0.3295 1.4497  0.22
9 H 0.9327 0.9117 1.5466  0.22
10 H 0.9667 1.2310 -0.9883  0.19
11 H -1.5825 1.1131 -0.7855  0.48

Properties
SMILES string: O[C@@H]1C[C@@H]1O
HOMO-LUMO gap: 10.2 eV


#B comes first in stability; the runner-up is 0.0055 hartree higher.


#A
Molecular formula: CH7N4
Method: DFT, ωB97M-V with the def2-TZVPD basis set

Each line ends with the natural charge from an NBO analysis.
CARTESIAN COORDINATES (ANGSTROEM)
1 C 1.0842 0.2807 -0.1928  0.31
2 N -0.0268 -0.1633 0.2877  -0.42
3 N 2.2716 -0.3858 -0.0888  -0.77
4 N -2.2728 -0.4111 -0.2011  -0.57
5 N -1.2658 0.5447 0.1822  -0.24
6 H 1.0739 1.3510 -0.7103  0.19
7 H 3.1289 0.0663 -0.1368  0.41
8 H 2.5025 -1.3115 0.3065  0.43
9 H -2.1597 -1.4765 0.7258  0.42
10 H -1.8027 -0.8051 -1.0166  0.37
covenant of marriage. When covenants are made, there is often a meal associated in the covenant-
ratifying process. Notice how there is usually a meal following the covenant ceremony at a wedding.
**Jesus calls communion the New Covenant in his blood. Communion renews our commitment, our
covenant relationship with Christ, which by default, renews our relationship with his body, the church.
Communion establishes and renews the vertical connection with Christ and the horizontal connection
with Christ’s body, the church.
**Communion unites us with other believers. So, it is essential that we come to the Table having
reconciled with our brothers and sisters in Christ. Our worship response to communion is confession
and reconciliation. Communion requires us to reconcile with God and with each other often. We do this
through confession to God and seeking reconciliation with our brothers and sisters in Christ. {Judais
Iscaroit because of his evil heart against Jesus took part in it and the devil entered him Lk.22-1-6; Matt.
At the Eucharist, we give thanks to God for all the he has done for us in Christ Jesus. The Eucharist is
especially focused on thanking God for his final victory over all things; over sin, death, Satan and all
the forces of hell.
This gives us hope because the one who conquered all things will come again and fully establish his
kingdom when he renews all things.
Eucharist is the Thanksgiving Meal of the Church. A meal where we gather together to give thanks for
all that God has done for us in Christ and look forward to when he returns. Our worship response in
the Eucharist is to give thanks and to hope. This is accomplished by the prayer of thanksgiving said
during the liturgy of the Eucharist.
The reference to the love feast can be seen in Jude 1:12. It also has been called the Agape Feast or the
Agape Meal. The Love Feast was a full meal where the church fellowshipped with one another. They
early Christians were known for their love for one another and this love was expressed in the sharing
of a meal. This is clearly how Paul depicted communion in the Bible, “So then, my brothers and sisters,
when you gather to eat, you should all eat together” (1 Cor 11:33).
Communion, in the early church, was a meal, a love feast. At the Love Feast, we show the love of God
to one another by becoming present to each other over a shared meal. Our worship response to the
love feast is to deeply love our brothers and sisters in Christ, where we treat each other just like family.
We love each other by giving one another the gifts of our time, our food, and our very selves as we
share a meal together.
Give thanks for Jesus’ victory and hope for his return (Eucharist)
Deeply love our brothers and sisters in Christ (Love Feast)